Your job: start at the top of the data below and copy each line, ending with the one that has "-0.08".
=====
Below is a molecular structure, C28H53IrO2PSe2Si2, with properties calculated with ωB97M-V/def2-TZVPD.

```
89
Properties=species:S:1:pos:R:3
O -0.21 -1.50 -0.54
O -2.20 -0.19 -4.36
C 0.68 -2.44 -1.23
C 1.25 -3.48 -0.29
H 1.48 -1.87 -1.73
H 0.09 -2.90 -2.03
H 1.43 -3.05 0.71
H 2.20 -3.90 -0.66
H 0.55 -4.32 -0.19
C -1.38 -2.28 -0.13
C -2.29 -2.56 -1.30
H -1.88 -1.68 0.64
H -1.06 -3.22 0.34
H -2.32 -1.73 -2.03
H -3.30 -2.72 -0.90
H -1.99 -3.49 -1.80
C -3.30 0.73 -4.56
C -2.13 -1.24 -5.34
C -4.49 0.42 -3.66
H -3.61 0.72 -5.62
H -2.89 1.72 -4.35
H -4.94 -0.56 -3.88
H -5.26 1.18 -3.81
H -4.19 0.41 -2.60
C -3.41 -2.08 -5.42
H -1.27 -1.86 -5.06
H -1.90 -0.78 -6.31
H -3.73 -2.43 -4.43
H -3.23 -2.96 -6.05
H -4.23 -1.50 -5.85
H -0.32 0.09 -2.97
Ir 0.41 -0.25 1.29
C -0.09 1.17 -2.91
Si 0.65 1.78 -4.56
H -1.02 1.69 -2.61
H 0.66 1.26 -2.11
C 1.55 0.38 -5.43
C 1.86 3.20 -4.33
C -0.51 2.48 -5.87
C 1.97 0.27 0.19
Si 3.23 1.18 1.28
H 1.67 0.86 -0.70
H 2.49 -0.65 -0.15
C 4.04 2.43 0.13
C 4.48 -0.07 1.92
C 2.81 2.17 2.82
H 0.11 2.59 -6.77
H -0.88 3.47 -5.59
H -1.36 1.82 -6.11
H 2.43 0.06 -4.86
H 1.87 0.76 -6.42
H 0.90 -0.50 -5.59
H 2.48 3.08 -3.43
H 1.33 4.15 -4.27
H 2.52 3.23 -5.21
H 4.71 -0.83 1.17
H 4.16 -0.58 2.84
H 5.41 0.48 2.14
H 2.71 1.56 3.73
H 1.88 2.76 2.72
H 3.65 2.88 2.97
H 4.91 2.86 0.64
H 3.35 3.24 -0.14
H 4.38 1.95 -0.80
Se 1.53 -1.36 3.05
P -0.23 -0.16 3.85
Se -1.50 0.80 2.23
C -1.11 -1.33 4.96
C -1.36 -1.04 6.32
C -2.04 -1.97 7.12
C -2.45 -3.20 6.59
C -2.13 -3.52 5.26
C -1.47 -2.60 4.45
C 0.31 1.20 4.94
C 1.28 0.90 5.92
C 1.78 1.90 6.74
C 1.30 3.21 6.63
C 0.34 3.51 5.66
C -0.18 2.52 4.83
H -1.02 -0.10 6.77
H -2.23 -1.74 8.17
H -2.99 -3.91 7.21
H -2.39 -4.49 4.86
H -1.20 -2.84 3.41
H 1.61 -0.15 6.04
H 2.55 1.65 7.47
H 1.67 3.99 7.29
H -0.02 4.53 5.54
H -0.97 2.77 4.12
```

- Multiplicity: 5
- Relative energy (zero: lowest compared OMol25 entry of this formula, charge and spin): 0.0 kcal per mole
- LUMO energy (alpha / beta): -0.121 / -0.191 Eh
- <S²>: 6.0211
- Orbital gap (alpha / beta): 6.5255 / 6.0908 eV
- HOMO energy (alpha / beta): -9.82 / -11.28 eV
- Net charge: +1

Results of the Löwdin charge analysis, in e, for atoms 1 through 8:
1. O -0.342
2. O -0.236
3. C -0.235
4. C -0.069
5. H 0.119
6. H 0.118
7. H 0.027
8. H 0.096


Below is 4 unconnected molecules or ions with the total composition C28H53N3O4, with properties calculated with ωB97M-V/def2-TZVPD.

```
88
Properties=species:S:1:pos:R:3
C 9.03 -3.06 -0.48
C 9.46 -1.59 -0.72
C 8.32 -0.81 -1.37
C 8.82 0.60 -1.71
O 7.26 -0.82 -0.41
C 6.12 -0.29 -0.87
O 5.69 -0.55 -1.93
O 5.56 0.49 0.02
C 4.30 1.02 -0.40
C 3.13 0.09 -0.10
C 1.86 0.47 -0.91
C 0.86 1.27 -0.08
C -0.55 1.34 -0.67
C -1.10 0.01 -1.22
C -2.61 -0.17 -0.98
C -2.96 -1.66 -1.28
C -4.38 -2.00 -0.82
C -5.35 -1.69 -1.97
O -6.72 -1.85 -1.65
C -7.05 -3.19 -1.37
H 8.09 -3.24 -1.01
H 9.75 -3.75 -0.92
H 8.88 -3.29 0.57
H 9.75 -1.10 0.20
H 10.31 -1.57 -1.41
H 8.09 -1.34 -2.29
H 8.08 1.38 -1.60
H 9.25 0.59 -2.71
H 9.65 0.83 -1.04
H 4.15 1.91 0.21
H 4.30 1.37 -1.43
H 2.88 0.26 0.95
H 3.39 -0.96 -0.20
H 1.46 -0.45 -1.32
H 2.21 1.10 -1.74
H 1.22 2.30 -0.01
H 0.84 0.91 0.95
H -1.26 1.74 0.07
H -0.57 2.06 -1.49
H -0.57 -0.82 -0.75
H -0.91 -0.03 -2.29
H -3.13 0.42 -1.74
H -2.90 0.06 0.04
H -2.83 -1.79 -2.35
H -2.24 -2.29 -0.77
H -4.67 -1.51 0.11
H -4.43 -3.08 -0.65
H -5.06 -2.25 -2.87
H -5.20 -0.64 -2.22
H -6.71 -3.44 -0.36
H -6.57 -3.87 -2.09
H -8.12 -3.34 -1.44
C -6.71 0.21 3.38
C -6.65 1.69 3.03
C -5.95 1.96 1.69
C -4.57 1.49 1.73
N -3.48 1.13 1.77
H -5.71 -0.21 3.49
H -7.24 0.06 4.32
H -7.23 -0.36 2.60
H -6.13 2.23 3.83
H -7.67 2.09 2.98
H -5.95 3.03 1.47
H -6.48 1.46 0.88
C -1.85 5.34 -0.98
C -1.85 5.94 0.42
C -2.84 5.24 1.37
C -4.21 5.35 0.86
N -5.27 5.44 0.46
H -2.82 5.44 -1.46
H -1.11 5.84 -1.60
H -1.60 4.27 -0.95
H -2.10 7.00 0.36
H -0.85 5.86 0.85
H -2.80 5.68 2.36
H -2.59 4.18 1.46
C 2.76 -3.33 1.25
C 1.44 -3.21 2.01
C 0.43 -4.29 1.62
C 0.10 -4.19 0.19
N -0.16 -4.11 -0.91
H 2.60 -3.19 0.17
H 3.46 -2.56 1.58
=====
Below is a molecular structure, C28H53IrO2PSe2Si2, with properties calculated with ωB97M-V/def2-TZVPD.

```
89
Properties=species:S:1:pos:R:3
O -0.21 -1.50 -0.54
O -2.20 -0.19 -4.36
C 0.68 -2.44 -1.23
C 1.25 -3.48 -0.29
H 1.48 -1.87 -1.73
H 0.09 -2.90 -2.03
H 1.43 -3.05 0.71
H 2.20 -3.90 -0.66
H 0.55 -4.32 -0.19
C -1.38 -2.28 -0.13
C -2.29 -2.56 -1.30
H -1.88 -1.68 0.64
H -1.06 -3.22 0.34
H -2.32 -1.73 -2.03
H -3.30 -2.72 -0.90
H -1.99 -3.49 -1.80
C -3.30 0.73 -4.56
C -2.13 -1.24 -5.34
C -4.49 0.42 -3.66
H -3.61 0.72 -5.62
H -2.89 1.72 -4.35
H -4.94 -0.56 -3.88
H -5.26 1.18 -3.81
H -4.19 0.41 -2.60
C -3.41 -2.08 -5.42
H -1.27 -1.86 -5.06
H -1.90 -0.78 -6.31
H -3.73 -2.43 -4.43
H -3.23 -2.96 -6.05
H -4.23 -1.50 -5.85
H -0.32 0.09 -2.97
Ir 0.41 -0.25 1.29
C -0.09 1.17 -2.91
Si 0.65 1.78 -4.56
H -1.02 1.69 -2.61
H 0.66 1.26 -2.11
C 1.55 0.38 -5.43
C 1.86 3.20 -4.33
C -0.51 2.48 -5.87
C 1.97 0.27 0.19
Si 3.23 1.18 1.28
H 1.67 0.86 -0.70
H 2.49 -0.65 -0.15
C 4.04 2.43 0.13
C 4.48 -0.07 1.92
C 2.81 2.17 2.82
H 0.11 2.59 -6.77
H -0.88 3.47 -5.59
H -1.36 1.82 -6.11
H 2.43 0.06 -4.86
H 1.87 0.76 -6.42
H 0.90 -0.50 -5.59
H 2.48 3.08 -3.43
H 1.33 4.15 -4.27
H 2.52 3.23 -5.21
H 4.71 -0.83 1.17
H 4.16 -0.58 2.84
H 5.41 0.48 2.14
H 2.71 1.56 3.73
H 1.88 2.76 2.72
H 3.65 2.88 2.97
H 4.91 2.86 0.64
H 3.35 3.24 -0.14
H 4.38 1.95 -0.80
Se 1.53 -1.36 3.05
P -0.23 -0.16 3.85
Se -1.50 0.80 2.23
C -1.11 -1.33 4.96
C -1.36 -1.04 6.32
C -2.04 -1.97 7.12
C -2.45 -3.20 6.59
C -2.13 -3.52 5.26
C -1.47 -2.60 4.45
C 0.31 1.20 4.94
C 1.28 0.90 5.92
C 1.78 1.90 6.74
C 1.30 3.21 6.63
C 0.34 3.51 5.66
C -0.18 2.52 4.83
H -1.02 -0.10 6.77
H -2.23 -1.74 8.17
H -2.99 -3.91 7.21
H -2.39 -4.49 4.86
H -1.20 -2.84 3.41
H 1.61 -0.15 6.04
H 2.55 1.65 7.47
H 1.67 3.99 7.29
H -0.02 4.53 5.54
H -0.97 2.77 4.12
```

- Multiplicity: 5
- Relative energy (zero: lowest compared OMol25 entry of this formula, charge and spin): 0.0 kcal per mole
- LUMO energy (alpha / beta): -0.121 / -0.191 Eh
- <S²>: 6.0211
- Orbital gap (alpha / beta): 6.5255 / 6.0908 eV
- HOMO energy (alpha / beta): -9.82 / -11.28 eV
- Net charge: +1

Results of the Löwdin charge analysis, in e, for atoms 1 through 8:
1. O -0.342
2. O -0.236
3. C -0.235
4. C -0.069
5. H 0.119
6. H 0.118
7. H 0.027
8. H 0.096


Below is 4 unconnected molecules or ions with the total composition C28H53N3O4, with properties calculated with ωB97M-V/def2-TZVPD.

```
88
Properties=species:S:1:pos:R:3
C 9.03 -3.06 -0.48
C 9.46 -1.59 -0.72
C 8.32 -0.81 -1.37
C 8.82 0.60 -1.71
O 7.26 -0.82 -0.41
C 6.12 -0.29 -0.87
O 5.69 -0.55 -1.93
O 5.56 0.49 0.02
C 4.30 1.02 -0.40
C 3.13 0.09 -0.10
C 1.86 0.47 -0.91
C 0.86 1.27 -0.08